Chapter 2

Gregor awoke suddenly, starting, as Matt's alarm clock blared noisily above his head. He wiggled out of his cousin's sleeping bag and quickly showered and dressed. He looked in the mirror after putting on his tee shirt and cringed. No way was he inviting questions about the scars on his arms on his first day of ninth grade. He went back into Matt's room to put on a long sleeved shirt, and saw Matt, still sprawled across the bed, his mouth hanging open a little. Obviously he hadn't heard his alarm yet.

Gregor walked out into the kitchen, and began to pack his backpack. His Aunt Lillian was making toast, and Lizzie was already up. She was going to Lincoln Court Middle this year.

"When do we need to catch the bus, Aunt Lillian?" Gregor asked.

"Seven," said Lizzie, before Aunt Lillian could even answer. "I can't wait to make some new friends. Sally, from summer camp, lives down here; I wonder if she'll be in my class?"

"Yeah." said Gregor glumly. He hadn't wanted to leave New York.

"Maybe you could join the track team here," Lillian said hopefully, "I heard that they really needed someone fast this year. The big winners all graduated."

"I'll think about it." Gregor said. And he really would. He needed to do something to keep his mind off of the Underland, and joining track might help him make some friends so he wouldn't be too lonely.

Matt stumbled out of his room at 6:50, blinking blearily. He grabbed his backpack, packed the night before, and joined Gregor and Lizzie for toast. He ate quickly, and left the house with Gregor and Lizzie, waving to his mother as he exited. He looked at Gregor and blinked.

"Dude. Why are you wearing that? It's supposed to be really hot today." He said incredulously.

"This is what I'm comfortable in," responded Gregor.

"Whatever, man. If you're gonna be all weird, try not to talk to me. Actually, try not to talk to me anyway. I'm a junior. The girls will think I'm weird if I hang out with my freshie cousin all the time." He sped up, almost jogging to the bus stop, where he met someone in a car. He hopped in, and the car sped away, leaving behind the aroma of exhaust and a cloud of blackish smoke.

"Ew." said Lizzie, wrinkling her nose at the exhaust. "Carbon monoxide and carbon dioxide are so bad for the environment. Matt's friend should get his muffler checked out."

"Somehow, I don't think Matt or his friend care much about how that car smells," Gregor responded wryly.

The bus pulled up, and Gregor, Lizzie, and four other people got on. Two of them were about Lizzie's age, and she had been conversing merrily with the girl while they waited for the bus. It turned out that they were both really into science. Who would've thought that making friends would be so easy for his sister? Gregor was almost jealous of how simple it seemed for his normally shy sister to make friends. He was expecting to have more trouble. He wasn't sure how to go about making new friends. He'd had the same three friends from kindergarten to his adventures in the Underland, when he had added several more friends to the mix. Everything was different in the Underland though. All of the friends he made there were because of his success as the warrior. And, except for Luxa, they were all quite a bit older than him.

The bus dropped everyone at the middle school first. Then it drove three blocks to the high school, where Gregor disembarked. He went to the office to get his schedule, and looked down at the paper the secretary had given him. Great. His first class was math. He wandered around the third floor, looking anxiously at the numbers above the doors, trying to find room 321. He had walked the entire length of the hallway, twice, and still no classroom, when the warning bell rang. He stood next to room 320, hoping to ambush someone willing to help him. He saw Matt, and took a quick step towards him, but Matt looked back at his friend without acknowledging that he'd seen him. Gregor slumped back against the wall. A tall boy dressed in all black was walking into room 320, and he noticed Gregor's defeated look.

"Can I help you?" he asked. Gregor perked up.

"Yeah, hopefully. Do you know where room 321 is?"

"You have to go through room 336 to get to it. It's weird as hell. I swear, the people who built this school were on acid or something. I only know 'cause I had English in 336 last year."

"Thank you so much!"

== These molecular data were left in the text by mistake ==
____________
[1]
9 unconnected molecules or ions with the total composition C50H37F2NO18P. Source: OMol25; level of theory: ωB97M-V with the def2-TZVPD basis set.

Total charge: -1
HOMO level in eV: -3.92
Frontier orbital gap in eV: 3.28
Spin multiplicity: 1
DFT total energy in eV: -105508.304

Cartesian coordinates (Å):
P 0.0202 5.5398 0.9346
F -3.0353 3.1189 1.9656
F -0.4613 2.1373 -0.0993
O 0.0829 2.3455 1.9648
O 2.1895 -0.2851 5.2858
O 0.9862 13.3220 -0.2387
O 3.9163 4.0311 1.1902
O 4.6376 -1.1776 0.5494
O -0.2106 -0.5576 -5.6445
O -3.0957 -0.5871 5.4702
O -4.4465 0.7758 -0.6434
O -2.1400 -9.5846 1.3039
O -5.3473 -2.3961 3.5073
O -4.9619 -4.2843 -0.8544
O -0.4683 4.0626 -3.0779
O -5.6567 -9.5359 -0.9032
O -2.1971 4.8961 2.9076
O 11.1291 0.6400 -4.3563
O -0.0896 8.1332 -0.2533
O 6.2595 1.8780 -2.6769
O -1.3318 -14.0775 -1.3821
N -1.1412 4.0591 1.0653
C 7.9999 0.2881 -2.7215
C 0.7394 12.1298 -0.2430
C -5.9563 -7.4845 -2.0207
C -2.0778 4.1278 2.0533
C -5.7813 -6.1653 -2.0096
C -5.1602 -2.1883 1.1723
C 0.9775 -0.3525 5.3271
C -0.3062 10.2062 -1.3506
C -4.6400 0.5759 1.6976
C 9.2238 -0.0207 -3.1431
C -1.0339 -1.3850 6.2832
C -5.4971 -8.3297 -0.8927
C 0.1270 0.5131 4.4771
C -4.8361 -7.6527 0.2474
C -2.8089 -10.9845 -0.4647
C -0.2699 0.5043 -5.0549
C 4.0760 2.8398 1.0458
C -4.9323 -1.3955 0.1275
C -0.0332 11.5102 -1.3442
C 4.9943 2.3100 0.0070
C 3.3667 1.8528 1.8975
C -4.6535 0.0531 0.3085
C 4.4687 0.0186 0.6998
C -2.6059 -12.1128 -1.1409
C -1.2006 0.4366 4.5265
C 0.6744 0.8327 -3.9623
C 10.0141 0.9224 -3.9702
C -0.6623 -12.6761 0.3859
C -1.3575 2.6802 -4.7584
C -4.6598 -6.3338 0.2582
C -5.1199 -5.4871 -0.8683
C 7.3748 1.5911 -3.0604
C 5.1765 1.0020 -0.1533
C 0.2936 -1.3088 6.2344
C -5.1435 -1.6638 2.5584
C -0.8653 -11.5483 1.0622
C -1.9545 -10.6147 0.6882
C 1.1986 11.2448 0.8509
C -0.4752 2.8423 1.0697
C 9.3896 2.2236 -4.3088
C -1.8845 -0.5183 5.4319
C 0.1528 9.3177 -0.2545
C -4.8680 -0.2204 2.7383
C 3.5515 0.5440 1.7368
C -1.2915 1.5189 -5.4038
C 0.9263 9.9404 0.8469
C 8.1659 2.5336 -3.8879
C -1.5174 -13.0473 -0.7683
C -0.4099 3.0094 -3.6634
C 0.6106 1.9944 -3.3134
H 1.7627 11.7158 1.6462
H -0.2525 -11.2612 1.9074
H 1.1906 4.6457 0.7848
H -1.9728 1.2614 -6.2051
H 5.5011 3.0432 -0.6062
H -3.5986 -10.2907 -0.7199
H -1.1268 6.4199 1.0540
H 1.4134 0.0781 -3.7241
H -3.2196 -12.3992 -1.9855
H -6.4373 -7.9979 -2.8437
H -1.5516 -2.0753 6.9375
H 5.8373 0.5999 -0.9005
H 7.4095 -0.3898 -2.1181
H 0.3118 5.5564 2.3577
H 0.6399 1.2042 3.8198
H -4.5070 -8.2869 1.0607
H -4.8575 0.1478 3.7560
H -4.9384 -1.7636 -0.8900
H 1.2528 9.2766 1.6379
H -0.8701 9.7360 -2.1464
H -5.3641 -3.2413 1.0615
H 3.0441 -0.1909 2.3495
H -4.1784 -5.8214 1.0819
H 9.6961 -0.9654 -2.9056
H 2.6986 2.2551 2.6479
H 9.9821 2.8989 -4.9128
H -4.4346 1.6307 1.8239
H -0.3596 12.1742 -2.1351
H 0.9321 -1.9333 6.8467
H -1.8376 1.0619 3.9121
H -6.1094 -5.5305 -2.8228
H -0.1045 5.4654 -0.5195
H -2.0968 3.4343 -4.9970
H 0.1276 -13.3706 0.6425
H 7.6935 3.4783 -4.1258
H 1.2926 2.2478 -2.5116
H 0.8948 6.6590 0.7536
____________
== The molecular data stop here ==

"Better hurry kid, 336 is on the other end of the hallway, and there's only like a minute until the late bell rings." said the boy, and Gregor took off.

Gregor stepped into the classroom with seconds to spare. He took the closest empty seat, which happened to be front row center, and prayed that the teacher, he consulted his schedule, Saunders, wasn't a spitter. He looked at the whiteboard, and wondered if all teachers were required to have perfect penmanship. The words were obsessively strait and even, almost as if the geometry teacher had taken a straightedge to the board to ensure perfection after writing everything down.

Mrs. Saunders stood up from her desk when the bell rang.

"Good morning, I am Mrs. Saunders. Congratulations on finding the classroom. Now, I will begin by handing out syllabi…"


Noon rolled around, and it was time for lunch. Gregor had mixed feelings about this. He was glad to escape from the inevitable boredom of first day syllabus-land, but he also didn't have anywhere to sit. He pulled his sack lunch out of his backpack, and began to look around the cafeteria for someplace likely. There was the girl wearing way too much pink from his second period, sitting with a girl in blue and a boy who was way too tan to be normal. Nope. There was a table full of people wearing lots of black, and a table that looked like oompa loompas, and a table with one pale girl sitting by herself, looking dismally at her Tupperware bowl of macaroni. There. He would sit with the pale lonely girl, and maybe make a friend, but more likely just sit in awkward silence for a half hour.

"Hi. Can I sit here?" asked Gregor.

"Sure. I'm Mary. What's your name?"

"Gregor. I'm new."

"Me too. I moved here from Colorado."

"I'm from New York. I wonder if anyone else is going to sit with us."

"I hope so. I met this cute guy named Tim in my Psychology class, and he said he would sit with me."

"Awesome. I haven't been as successful as you at making friends…"

"It's a gift. I'm good at small talk. Oh, here he comes now!" Mary began waving frantically as the tall boy who helped Gregor find his math class left the food line. He must be Tim.

"Hey Mary. Hey boy who I helped out this morning. How'd you two meet?"

"His name is Gregor, Tim. And he's new here, like me." said Mary excitedly.

"I was looking for a place to sit. This seemed like as good a place as any, and better than some."

"So you're not a freshman?" Tim asked.

"No, I am. It's just that I also just moved here from New York, so I don't know anybody except my cousin."

"Oh. Alright then. Good to know my assumption wasn't wrong. Who's your cousin?"

"Matt Wilson."

"Ouch. Sorry man. I mean… uh…"

"It's OK. He already told me not to talk to him at school."

"He's been best friends with all the football guys for years, and he's a wrestler. And a jackass. Doesn't represent the team well at all. I wish I didn't have to deal with him, but he's all set to be team captain this year. Not looking forward to that."

"You wrestle?" Mary reentered the conversation with the question directed at Tim.

"Yeah. It's cool, most of the time. Doesn't start until November, so I've got a bit of a break."

They all stopped talking in favor of eating for a little while, until Gregor broke the silence.

"Hey, do you know if the cross country team is already practicing?" Gregor asked.

"They start today, after school. You should talk to Coach Link, he teaches history, about joining if you're interested. There are only three guys on the team. It's kind of pathetic, actually. I'm sure he'd be glad to have you, especially since you're wearing running shoes, so you'd be able to practice today." responded Tim. "So we've established what I do, and what Gregor does, what do you do in your spare time, Mary?"

"Not sports," Mary giggled. "Try more art and sewing. My cross stitch pattern won an award at the Colorado State Fair last year. I used to dance, but I was terrible. I spent a lot more time ogling costumes than paying attention to the teacher. I'm passing decent at baseball though. I might try out in the spring."

"What's cross stitch?" asked an enraptured Tim. He'd never talked to anyone who sewed before.

As Mary explained, a smile spreading across her face and her voice raising in excited happiness, Gregor zoned out. He pulled out his schedule, and saw that, by some happy coincidence, his next class was World History with Link. He could ask about cross country without having to go out of his way, or find another classroom that the, according to Tim, drugged up architects had hidden.